Sunday, June 26, 2011

Liam's 2nd Birthday!

Liam turns two this week. Our sweet, strong-willed, perfectionist, funny, foodie boy is turning two. Tonight, at the pool, Owen wanted me to sing the "noble duke of york". I did. We looked up and saw Liam doing a hilarious little jig. He had us in stitches. That's Liam in a nutshell. He is so darn funny at times.

Admittedly, he is definitely the most difficult personality of the three boys, but just as soon as I am ready to let him go live with Grammie and Pa, he does something totally sweet, totally funny, or just totally "him" that melts my heart and reminds me why I can't live without the little bugger. LOVE him!

-- Calculated crystals, kept here for reference --
This entry pairs a crystal structure of PrNiSnAsPd with its simulated X-ray diffraction stick pattern. Radiation: Cu Kα, 1.54184 Å. Structure: a DFT-relaxed cell (PBE, OQMD).

Principal peaks in the range 2θ = 5–70°, low angle first:
| hkl | d [Å] | intensity |
| --- | --- | --- |
| 1 0 3 | 2.700 | 30 |
| 1 1 2 | 2.644 | 100 |
| 2 0 0 | 2.177 | 49 |
| 1 1 4 | 1.978 | 15 |
| 1 0 5 | 1.866 | 16 |
| 2 1 3 | 1.695 | 15 |
| 2 0 4 | 1.664 | 9 |
| 2 2 0 | 1.539 | 16 |
| 1 1 6 | 1.502 | 9 |
| 2 1 5 | 1.417 | 12 |

abc: 4.3534 4.3534 10.3260
angles: 90.00 90.00 90.00
Fractional coordinates of all 10 atoms:
1 Pr 0.2500 0.2500 0.2358
2 Pr 0.7500 0.7500 0.7642
3 Ni 0.2500 0.2500 0.6373
4 Ni 0.7500 0.7500 0.3627
5 Sn 0.2500 0.7500 0.5000
6 Sn 0.7500 0.2500 0.5000
7 As 0.2500 0.2500 0.8606
8 As 0.7500 0.7500 0.1394
9 Pd 0.2500 0.7500 0.0000
10 Pd 0.7500 0.2500 0.0000

This entry pairs a crystal structure of PrNiSnAsPd with its simulated X-ray diffraction stick pattern. Radiation: Cu Kα, 1.54184 Å. Structure: a DFT-relaxed cell (PBE, OQMD).

Principal peaks in the range 2θ = 5–70°, low angle first:
| hkl | d [Å] | intensity |
| --- | --- | --- |
| 1 0 2 | 3.327 | 9 |
| 1 1 0 | 3.146 | 9 |
| 1 1 2 | 2.667 | 100 |
| 2 0 0 | 2.224 | 48 |
| 1 0 4 | 2.183 | 13 |
| 1 1 4 | 1.960 | 11 |
| 1 0 5 | 1.828 | 10 |
| 2 1 3 | 1.710 | 17 |
| 2 2 0 | 1.573 | 16 |
| 3 1 2 | 1.355 | 20 |

abc: 4.4490 4.4490 10.0238
angles: 90.00 90.00 90.00
Fractional coordinates of all 10 atoms:
1 Pr 0.2500 0.2500 0.2281
2 Pr 0.7500 0.7500 0.7719
3 Ni 0.2500 0.2500 0.9057
4 Ni 0.7500 0.7500 0.0943
5 Sn 0.2500 0.2500 0.6508
6 Sn 0.7500 0.7500 0.3492
7 As 0.2500 0.7500 0.0000
8 As 0.7500 0.2500 0.0000
9 Pd 0.2500 0.7500 0.5000
10 Pd 0.7500 0.2500 0.5000

=====

1.
This entry pairs a crystal structure of Nd3Ag4Sn2 with its simulated XRD peak list. Radiation: copper Kα. Structure: the GGA-PBE geometry in Alexandria.
Intensities are scaled so that the largest is 100.

Principal peaks in the range 2θ = 15–90°, by angle:
- 2θ = 32.0°, d 2.796, intensity 48
- 2θ = 32.3°, d 2.775, intensity 100
- 2θ = 36.9°, d 2.434, intensity 72
- 2θ = 37.6°, d 2.393, intensity 37
- 2θ = 49.5°, d 1.842, intensity 14
- 2θ = 50.2°, d 1.818, intensity 26
- 2θ = 62.9°, d 1.478, intensity 22
- 2θ = 63.3°, d 1.468, intensity 22

```
Nd3Ag4Sn2
1.0
5.6372 -2.3926 0.0000
5.6372 2.3926 0.0000
-3.9250 0.0000 8.3931
Nd Ag Sn
3 4 2
Cartesian
0.0000 0.0000 0.0000
2.6023 0.0000 2.7086
4.7470 0.0000 5.6845
-0.7072 0.0000 3.5311
-0.4973 0.0000 8.0264
7.8467 0.0000 0.3667
8.0565 0.0000 4.8621
1.4604 0.0000 6.0090
5.8890 0.0000 2.3841
```



2.
This entry pairs a crystal structure of Nd2AgSn4 with its simulated XRD peak list. Radiation: copper Kα. Structure: the GGA-PBE geometry in Alexandria.
Intensities are scaled so that the largest is 100.

Principal peaks in the range 2θ = 15–90°, by angle:
- 2θ = 28.9°, d 3.091, intensity 14
- 2θ = 29.2°, d 3.056, intensity 17
- 2θ = 33.8°, d 2.654, intensity 100

Liam loves his baby brother Gavin so much. He adores his big brother Owen more than I ever hoped. But, he has also fit in a love for trains and cars and trucks. So, a "transportation" party was planned for Liam. Isn't his cake amazing?

Grammie and Pa keeping Baby Gavin entertained during the party.

**The entry is interrupted by crystal structures**
'''
Record 1
Starting from a cell relaxed with GGA-PBE, the powder XRD pattern of FeCo was computed for Cu Kα.
Peak positions follow from Bragg's law for the DFT cell and can differ from measured ones.

Largest 3 diffraction maxima, in order of rising 2θ, 10° ≤ 2θ ≤ 90°:
h k l  d [Å]  Rel. int.
1 1 0  2.011  100
2 0 0  1.422  15
2 1 1  1.161  29

Structural model:
Lattice parameters (Å, degrees): 2.8434 2.8434 2.8434 90.00 90.00 90.00
Space group Pm-3m (No. 221)
Asymmetric unit:
Fe 0.0000 0.0000 0.0000
Co 0.5000 0.5000 0.5000

Record 2
Starting from a cell relaxed with GGA-PBE, the powder XRD pattern of Fe3Co was computed for Cu Kα.
Peak positions follow from Bragg's law for the DFT cell and can differ from measured ones.

Largest 5 diffraction maxima, in order of rising 2θ, 10° ≤ 2θ ≤ 90°:
h k l  d [Å]  Rel. int.
2 0 0  2.014  100
2 2 0  1.426  10
0 0 2  1.421  5
3 1 1  1.164  19
2 0 2  1.162  9

Structural model:
Lattice parameters (Å, degrees): 4.0329 4.0329 2.8419 90.00 90.00 90.00
Space group P4/mmm (No. 123)
Asymmetric unit:
Fe 0.0000 0.0000 0.0000
Fe 0.0000 0.5000 0.5000
Co 0.5000 0.5000 0.0000

Record 3
Starting from a cell relaxed with GGA-PBE, the powder XRD pattern of Ga2FeCo was computed for Cu Kα.
Peak positions follow from Bragg's law for the DFT cell and can differ from measured ones.

Largest 5 diffraction maxima, in order of rising 2θ, 10° ≤ 2θ ≤ 90°:
h k l  d [Å]  Rel. int.
1 0 0  2.891  1
1 1 0  2.045  100
2 0 0  1.446  15
2 1 0  1.293  1
2 1 2  1.180  30

Structural model:
Lattice parameters (Å, degrees): 2.8914 2.8914 5.7829 90.00 90.00 90.00
Space group P4/mmm (No. 123)
Asymmetric unit:
Ga 0.0000 0.0000 0.2499
Fe 0.5000 0.5000 0.0000
Co 0.5000 0.5000 0.5000

- Which formula does entry 3 have?
  Ga2FeCo


Structure and theoretical X-ray powder pattern of KHg2Se2 (DFT lattice parameters and positions (GGA-PBE); Cu Kα (λ = 1.5418 Å)).

Largest 10 diffraction maxima, most intense first, 2θ = 10–90°:
2theta, Rel. int.
28.5, 100
14.1, 81
44.7, 66
29.3, 65
22.7, 47
34.4, 29
34.1, 28
46.3, 27
60.8, 25
52.5, 21

Crystal structure
Unit cell a=8.651 b=8.651 c=8.651 alpha=132.48 beta=132.48 gamma=69.47
Fractional coordinates of all 10 atoms:
K (0.375, 0.625, 0.750)
K (0.625, 0.375, 0.250)
Hg (0.000, 0.000, 0.000)
Hg (0.000, 0.000, 0.500)
Hg (0.000, 0.500, 0.000)
Hg (0.500, 0.000, 0.500)
Se (0.135, 0.385, 0.750)
Se (0.385, 0.135, 0.250)
Se (0.615, 0.865, 0.750)
Se (0.865, 0.615, 0.250)


Record 1
Calculated powder XRD pattern
Compound: Ce2NiB10
Radiation: Cu Kα X-rays
Structure: a DFT-relaxed cell (GGA-PBE, the Materials Project)
Kinematic intensities with the Lorentz-polarization factor, no thermal factor.

Structure:
Cell lengths 5.602, 11.147, 4.161 Å; angles 90.00, 90.00, 90.00 degrees
Fractional positions:
1 Ce 0.188 0.138 0.000
2 Ce 0.312 0.638 0.000
3 Ce 0.688 0.362 0.000
4 Ce 0.812 0.862 0.000
5 Ni 0.000 0.500 0.500
6 Ni 0.500 0.000 0.500
7 B 0.032 0.312 0.500
8 B 0.125 0.959 0.500
9 B 0.156 0.802 0.500
10 B 0.201 0.386 0.199
'''

The party started with Liam's very favorite art project....painting with monster trucks.

Then, we moved into the play room for more fun with cars and trucks. All of the kids happily played on the equipment, participated in the games, and had fun. My 3 boys, though, would have been just as happy playing with a truck for 30 minutes.

Baby Gavin getting so big!

Miss Holly played red light green light with the kids. I saw this and chuckled, because Owen looks like he is really running his heart out with a win in mind. I guess I was right about that, because when he just saw this photo he said "mom, it doesn't look like it in this picture, but I won that race." Ha!

Back in the party room for cake! The cake got put in front of Liam and his face just lit up. Then, he got confused about the candles and almost lit his little plate on fire while looking around for a parent to help him blow them out.

Daddy Q showed Liam what to do, but he still wasn't willing. Just when some of the other kids were about to get up to help, Owen shot out of his chair and blew the suckers out. So funny!

I felt bad for the kiddos that had gotten excited to blow the candles, so we re-lit them and let the others do it. Then, we did it again. Then, we did it again. And, then, I think our little birthday boy was ready to dig into the cake, so we stopped.

Not sure what made him happier, the cake or his balloons.

After the party, it was time to head home. And, like any good big brother should, Owen kept watch over the gifts to make sure they didn't get left behind.

And, at home, Owen was happy to Emcee the gift opening part of the day. Lucky for him, Liam would respond with a "uh huh" every time Owen asked if he wanted to open another present.

After a long, long, party day, the boys had a nice, relaxing story time with Grammie.

Happy 2nd Birthday, Liam! We love you to the moon and back, little buddy.



-- Inserted here: records of crystals --
=====
For AcCu6, a DFT-relaxed cell (PBE, Alexandria) gives the simulated PXRD pattern in this record (copper Kα).
Lines closer than 0.1° are merged.

Structure:
Cell: 8.187 5.341 10.295 Å, 90.00 90.00 90.00°
Sites, in units of the cell vectors:
Ac1 0.236 0.250 0.063
Ac2 0.264 0.750 0.563
Ac3 0.736 0.250 0.437
Ac4 0.764 0.750 0.937
Cu1 0.066 0.005 0.311
Cu2 0.066 0.495 0.311
Cu3 0.073 0.750 0.105
Cu4 0.102 0.250 0.517
Cu5 0.153 0.750 0.858
Cu6 0.178 0.250 0.755
Cu7 0.322 0.750 0.255
Cu8 0.347 0.250 0.358
Cu9 0.398 0.750 0.017
Cu10 0.427 0.250 0.605
Cu11 0.434 0.505 0.811
Cu12 0.434 0.995 0.811
Cu13 0.566 0.005 0.189
Cu14 0.566 0.495 0.189
Cu15 0.573 0.750 0.395
Cu16 0.602 0.250 0.983
Cu17 0.653 0.750 0.642
Cu18 0.678 0.250 0.745
Cu19 0.822 0.750 0.245
Cu20 0.847 0.250 0.142
Cu21 0.898 0.750 0.483
Cu22 0.927 0.250 0.895
Cu23 0.934 0.505 0.689
Cu24 0.934 0.995 0.689

Most intense lines, 15° ≤ 2θ ≤ 90°, most intense first:
Position (°2θ)  d [Å]  I_rel  (hkl)
38.0  2.366  100  3 1 1
38.1  2.359  63  2 1 3
36.6  2.455  45  1 0 4
21.7  4.100  41  2 0 0
33.6  2.671  32  0 2 0
63.0  1.475  31  3 3 1
40.3  2.237  30  2 2 0
31.0  2.887  29  0 1 3
44.4  2.041  23  1 2 3
44.9  2.017  21  2 1 4

~~~~~

Entry 1:
# PdF2
Calculated powder XRD pattern, CuKα. Input: a cell relaxed with GGA-PBE.
Lines closer than 0.1° are merged.

Peak list (10 most intense, 10 to 90 degrees two-theta, low angle first)
d (Å)  2theta  I/Imax  h k l
3.047  29.32  100  1 1 1
2.821  31.72  22  0 0 2
2.714  33.00  11  0 2 0
1.956  46.43  16  0 2 2
1.840  49.53  13  2 0 2
1.810  50.42  15  2 2 0
1.669  55.03  20  1 1 3
1.624  56.69  21  1 3 1
1.523  60.81  13  2 2 2
1.496  62.04  15  3 1 1

Crystal structure
Unit cell a=4.857 b=5.428 c=5.641 alpha=90.00 beta=90.00 gamma=90.00
Space group Pbca (No. 61)
Symmetry-distinct sites (fractional):
1 Pd 0.000 0.000 0.000 [4 per cell]
2 F 0.164 0.184 0.372 [8 per cell]

---

Entry 2:
# Zr3Fe4Sn4
Calculated powder XRD pattern, CuKα. Input: a cell relaxed with GGA-PBE.
Lines closer than 0.1° are merged.

Peak list (10 most intense, 10 to 90 degrees two-theta, low angle first)
d (Å)  2theta  I/Imax  h k l
2.478  36.25  100  1 3 2
2.453  36.64  30  1 1 4
2.436  36.90  43  3 0 2
2.406  37.37  32  2 3 0
2.299  39.18  50  0 2 4
2.277  39.57  45  3 2 1
2.229  40.47  30  0 4 0
2.178  41.46  30  2 1 4
2.138  42.28  31  3 2 2
1.964  46.21  26  4 1 1

Crystal structure
Unit cell a=8.201 b=8.915 c=10.736 alpha=90.00 beta=90.00 gamma=90.00
Space group Pnma (No. 62)
Symmetry-distinct sites (fractional):
1 Zr 0.053 0.051 0.135 [8 per cell]
2 Zr 0.054 0.750 0.553 [4 per cell]
3 Fe 0.134 0.750 0.265 [4 per cell]
4 Fe 0.190 0.750 0.023 [4 per cell]
5 Fe 0.202 0.508 0.403 [8 per cell]
6 Sn 0.113 0.250 0.917 [4 per cell]
7 Sn 0.115 0.071 0.645 [8 per cell]
8 Sn 0.238 0.750 0.790 [4 per cell]

---

Entry 3:
# HfNbSe4
Calculated powder XRD pattern, CuKα. Input: a cell relaxed with GGA-PBE.
Lines closer than 0.1° are merged.
=====

Rob and Leah said...

Can't believe he's 2...happy bday! Looks like a very cute party and cake.